+++
# 1
Entry from the Open Molecules 2025 dataset: a structure of composition C53H49BrMnN2O6 (ωB97M-V/def2-TZVPD).

```
112
Properties=species:S:1:pos:R:3:forces:R:3:lowdin_spin:R:1
Mn -0.56397 0.33671 0.43984 -0.5 0.4 -0.6 1.01
C 2.16322 -3.27065 -5.46246 0.2 -0.1 -0.1 0.00
C 1.01568 -3.25640 -4.47411 -0.1 0.1 0.2 0.00
C -0.03862 -4.29417 -4.81299 -0.2 -0.1 -0.1 0.00
O 1.52112 -3.50791 -3.18204 0.1 0.1 0.2 0.00
C 1.00721 -2.54963 -2.24480 0.1 0.1 -0.2 0.00
C 0.55568 -1.37914 -3.14400 0.1 -0.5 -0.1 0.00
O 0.43526 -1.97010 -4.45523 0.0 0.1 0.2 0.00
C -0.73371 -0.67885 -2.65292 -0.2 0.0 -0.1 0.00
O -0.38986 -0.29621 -1.40001 0.2 -0.1 0.1 0.03
C -1.02966 0.60641 -3.47459 0.0 0.0 0.0 0.00
C -2.31696 1.01641 -3.82097 0.1 0.0 0.0 0.00
C -2.54342 2.24385 -4.43836 0.1 0.0 0.0 0.00
C -1.48378 3.09899 -4.71114 0.0 -0.1 0.1 0.00
C -0.19944 2.72232 -4.32935 0.0 -0.1 0.0 0.00
C 0.01960 1.49604 -3.71452 0.0 0.1 0.0 0.00
C -1.89031 -1.69266 -2.78729 0.0 0.2 -0.1 0.00
C -2.37790 -2.33145 -1.65960 -0.1 -0.2 0.0 0.00
C -3.40699 -3.26998 -1.74183 0.1 0.0 -0.1 0.00
C -3.96320 -3.58634 -2.97565 0.1 0.1 0.1 0.00
C -3.46852 -2.96625 -4.12046 0.0 0.0 0.1 0.00
C -2.44087 -2.03653 -4.02612 -0.1 0.0 0.0 0.00
C 2.11922 -2.31406 -1.14016 -0.2 0.1 -0.4 0.00
O 1.44814 -1.79839 -0.01657 0.4 0.0 0.7 0.00
C 2.55885 -3.71803 -0.64842 -0.1 0.1 -0.1 0.00
C 3.86824 -4.15583 -0.51984 0.2 -0.1 0.1 0.00
C 4.16569 -5.40028 0.03712 0.0 0.1 -0.1 0.00
C 3.15504 -6.22995 0.48609 0.0 0.0 0.0 0.00
C 1.83813 -5.79619 0.38297 -0.1 0.1 0.0 0.00
C 1.55145 -4.55858 -0.17117 -0.1 -0.1 0.0 0.00
C 3.23711 -1.50469 -1.80586 -0.1 -0.1 0.0 0.00
C 4.16897 -2.11438 -2.65518 -0.1 0.1 -0.1 0.00
C 5.11247 -1.36327 -3.35037 -0.1 -0.1 0.1 0.00
C 5.12776 0.02050 -3.23150 0.0 0.0 0.0 0.00
C 4.17340 0.63734 -2.43444 -0.1 0.0 0.0 0.00
C 3.23353 -0.11465 -1.73443 0.0 0.2 -0.2 0.00
H 2.69009 -4.22979 -5.40895 0.0 0.1 0.0 0.00
H 2.85715 -2.46415 -5.21972 0.0 -0.1 0.0 0.00
H 1.77784 -3.12338 -6.47592 0.1 0.0 0.1 0.00
H 0.41693 -5.28974 -4.83682 -0.1 0.1 0.0 0.00
H -0.48154 -4.06908 -5.78893 0.0 -0.1 0.1 0.00
H -0.82761 -4.27402 -4.05800 0.1 0.0 -0.1 0.00
H 0.14682 -2.96437 -1.72185 -0.1 0.0 0.0 0.00
H 1.31952 -0.61858 -3.16803 0.3 0.1 -0.1 0.00
H -3.16630 0.39195 -3.57077 0.0 0.0 0.0 0.00
H -3.55939 2.53772 -4.68463 0.1 0.0 0.0 0.00
H -1.65919 4.05811 -5.18653 0.0 0.0 0.0 0.00
H 0.63751 3.39482 -4.49206 -0.1 0.0 0.0 0.00
H 1.01897 1.26113 -3.36062 -0.1 0.1 -0.1 0.00
H -1.92192 -2.08389 -0.71647 0.0 0.0 0.1 0.00
H -3.77099 -3.74502 -0.83432 0.0 0.0 -0.1 0.00
H -4.77185 -4.30631 -3.04843 0.0 0.0 0.0 0.00
H -3.88536 -3.21156 -5.09292 0.0 0.0 0.0 0.00
H -2.05757 -1.56509 -4.92263 0.0 0.0 0.0 0.00
H 4.68661 -3.51758 -0.82270 0.0 0.0 0.1 0.00
H 5.20116 -5.71035 0.12619 0.0 0.0 0.0 0.00
H 3.38721 -7.19143 0.92940 0.0 0.0 0.0 0.00
H 1.02881 -6.41896 0.74962 0.0 0.0 0.0 0.00
H 0.52063 -4.22097 -0.21031 0.1 -0.1 0.0 0.00
H 4.13395 -3.18527 -2.80288 0.0 0.1 -0.1 0.00
H 5.82720 -1.86505 -3.99648 -0.1 0.0 0.0 0.00
H 5.86586 0.60866 -3.76802 0.0 0.0 0.0 0.00
H 4.13802 1.71896 -2.35894 0.0 0.0 0.0 0.00
H 2.47907 0.35441 -1.10451 0.0 0.0 0.0 0.00
C -1.92059 -3.13201 2.41793 0.3 0.0 0.0 0.00
C -3.29116 -2.94847 2.45882 -0.3 0.1 0.0 -0.01
C -3.82188 -1.80278 1.89570 -0.2 -0.1 0.1 0.00
C -2.98643 -0.85630 1.30378 -0.4 0.2 -0.1 -0.01
N -1.65487 -1.04092 1.27640 0.0 -0.5 0.3 -0.01
C -1.14656 -2.15277 1.82190 0.2 -0.2 0.1 -0.01
C -3.42747 0.36297 0.61049 0.0 -0.1 0.1 0.00
C -4.76781 0.74164 0.49680 -0.1 0.0 0.0 0.00
C -5.09701 1.89420 -0.19908 0.1 0.0 0.0 0.00
C -4.07399 2.65728 -0.77309 -0.1 -0.1 0.0 0.00
C -2.75021 2.26718 -0.64240 0.0 0.0 0.0 0.00
C -2.37199 1.10457 0.05276 0.0 0.1 0.0 -0.02
H -1.44780 -4.01291 2.83423 0.0 0.0 0.0 0.00
H -3.93666 -3.69134 2.91473 0.0 0.0 0.0 0.00
H -4.89178 -1.63302 1.89315 0.1 0.0 0.0 0.00
H -0.07081 -2.26137 1.74050 0.0 0.0 0.0 0.00
H -5.56010 0.14916 0.95317 0.1 0.1 -0.1 0.00
H -6.13338 2.19758 -0.29711 0.0 0.0 0.0 0.00
H -4.32197 3.55677 -1.33086 0.0 0.0 0.0 0.00
+++
Repeat the whole of the lines further up unchanged.
# 1
Entry from the Open Molecules 2025 dataset: a structure of composition C53H49BrMnN2O6 (ωB97M-V/def2-TZVPD).

```
112
Properties=species:S:1:pos:R:3:forces:R:3:lowdin_spin:R:1
Mn -0.56397 0.33671 0.43984 -0.5 0.4 -0.6 1.01
C 2.16322 -3.27065 -5.46246 0.2 -0.1 -0.1 0.00
C 1.01568 -3.25640 -4.47411 -0.1 0.1 0.2 0.00
C -0.03862 -4.29417 -4.81299 -0.2 -0.1 -0.1 0.00
O 1.52112 -3.50791 -3.18204 0.1 0.1 0.2 0.00
C 1.00721 -2.54963 -2.24480 0.1 0.1 -0.2 0.00
C 0.55568 -1.37914 -3.14400 0.1 -0.5 -0.1 0.00
O 0.43526 -1.97010 -4.45523 0.0 0.1 0.2 0.00
C -0.73371 -0.67885 -2.65292 -0.2 0.0 -0.1 0.00
O -0.38986 -0.29621 -1.40001 0.2 -0.1 0.1 0.03
C -1.02966 0.60641 -3.47459 0.0 0.0 0.0 0.00
C -2.31696 1.01641 -3.82097 0.1 0.0 0.0 0.00
C -2.54342 2.24385 -4.43836 0.1 0.0 0.0 0.00
C -1.48378 3.09899 -4.71114 0.0 -0.1 0.1 0.00
C -0.19944 2.72232 -4.32935 0.0 -0.1 0.0 0.00
C 0.01960 1.49604 -3.71452 0.0 0.1 0.0 0.00
C -1.89031 -1.69266 -2.78729 0.0 0.2 -0.1 0.00
C -2.37790 -2.33145 -1.65960 -0.1 -0.2 0.0 0.00
C -3.40699 -3.26998 -1.74183 0.1 0.0 -0.1 0.00
C -3.96320 -3.58634 -2.97565 0.1 0.1 0.1 0.00
C -3.46852 -2.96625 -4.12046 0.0 0.0 0.1 0.00
C -2.44087 -2.03653 -4.02612 -0.1 0.0 0.0 0.00
C 2.11922 -2.31406 -1.14016 -0.2 0.1 -0.4 0.00
O 1.44814 -1.79839 -0.01657 0.4 0.0 0.7 0.00
C 2.55885 -3.71803 -0.64842 -0.1 0.1 -0.1 0.00
C 3.86824 -4.15583 -0.51984 0.2 -0.1 0.1 0.00
C 4.16569 -5.40028 0.03712 0.0 0.1 -0.1 0.00
C 3.15504 -6.22995 0.48609 0.0 0.0 0.0 0.00
C 1.83813 -5.79619 0.38297 -0.1 0.1 0.0 0.00
C 1.55145 -4.55858 -0.17117 -0.1 -0.1 0.0 0.00
C 3.23711 -1.50469 -1.80586 -0.1 -0.1 0.0 0.00
C 4.16897 -2.11438 -2.65518 -0.1 0.1 -0.1 0.00
C 5.11247 -1.36327 -3.35037 -0.1 -0.1 0.1 0.00
C 5.12776 0.02050 -3.23150 0.0 0.0 0.0 0.00
C 4.17340 0.63734 -2.43444 -0.1 0.0 0.0 0.00
C 3.23353 -0.11465 -1.73443 0.0 0.2 -0.2 0.00
H 2.69009 -4.22979 -5.40895 0.0 0.1 0.0 0.00
H 2.85715 -2.46415 -5.21972 0.0 -0.1 0.0 0.00
H 1.77784 -3.12338 -6.47592 0.1 0.0 0.1 0.00
H 0.41693 -5.28974 -4.83682 -0.1 0.1 0.0 0.00
H -0.48154 -4.06908 -5.78893 0.0 -0.1 0.1 0.00
H -0.82761 -4.27402 -4.05800 0.1 0.0 -0.1 0.00
H 0.14682 -2.96437 -1.72185 -0.1 0.0 0.0 0.00
H 1.31952 -0.61858 -3.16803 0.3 0.1 -0.1 0.00
H -3.16630 0.39195 -3.57077 0.0 0.0 0.0 0.00
H -3.55939 2.53772 -4.68463 0.1 0.0 0.0 0.00
H -1.65919 4.05811 -5.18653 0.0 0.0 0.0 0.00
H 0.63751 3.39482 -4.49206 -0.1 0.0 0.0 0.00
H 1.01897 1.26113 -3.36062 -0.1 0.1 -0.1 0.00
H -1.92192 -2.08389 -0.71647 0.0 0.0 0.1 0.00
H -3.77099 -3.74502 -0.83432 0.0 0.0 -0.1 0.00
H -4.77185 -4.30631 -3.04843 0.0 0.0 0.0 0.00
H -3.88536 -3.21156 -5.09292 0.0 0.0 0.0 0.00
H -2.05757 -1.56509 -4.92263 0.0 0.0 0.0 0.00
H 4.68661 -3.51758 -0.82270 0.0 0.0 0.1 0.00
H 5.20116 -5.71035 0.12619 0.0 0.0 0.0 0.00
H 3.38721 -7.19143 0.92940 0.0 0.0 0.0 0.00
H 1.02881 -6.41896 0.74962 0.0 0.0 0.0 0.00
H 0.52063 -4.22097 -0.21031 0.1 -0.1 0.0 0.00
H 4.13395 -3.18527 -2.80288 0.0 0.1 -0.1 0.00
H 5.82720 -1.86505 -3.99648 -0.1 0.0 0.0 0.00
H 5.86586 0.60866 -3.76802 0.0 0.0 0.0 0.00
H 4.13802 1.71896 -2.35894 0.0 0.0 0.0 0.00
H 2.47907 0.35441 -1.10451 0.0 0.0 0.0 0.00
C -1.92059 -3.13201 2.41793 0.3 0.0 0.0 0.00
C -3.29116 -2.94847 2.45882 -0.3 0.1 0.0 -0.01
C -3.82188 -1.80278 1.89570 -0.2 -0.1 0.1 0.00
C -2.98643 -0.85630 1.30378 -0.4 0.2 -0.1 -0.01
N -1.65487 -1.04092 1.27640 0.0 -0.5 0.3 -0.01
C -1.14656 -2.15277 1.82190 0.2 -0.2 0.1 -0.01
C -3.42747 0.36297 0.61049 0.0 -0.1 0.1 0.00
C -4.76781 0.74164 0.49680 -0.1 0.0 0.0 0.00
C -5.09701 1.89420 -0.19908 0.1 0.0 0.0 0.00
C -4.07399 2.65728 -0.77309 -0.1 -0.1 0.0 0.00
C -2.75021 2.26718 -0.64240 0.0 0.0 0.0 0.00
C -2.37199 1.10457 0.05276 0.0 0.1 0.0 -0.02
H -1.44780 -4.01291 2.83423 0.0 0.0 0.0 0.00
H -3.93666 -3.69134 2.91473 0.0 0.0 0.0 0.00
H -4.89178 -1.63302 1.89315 0.1 0.0 0.0 0.00
H -0.07081 -2.26137 1.74050 0.0 0.0 0.0 0.00
H -5.56010 0.14916 0.95317 0.1 0.1 -0.1 0.00
H -6.13338 2.19758 -0.29711 0.0 0.0 0.0 0.00
H -4.32197 3.55677 -1.33086 0.0 0.0 0.0 0.00